Next Up: A creative nonfiction summer workshop for young adult writers

I’m excited to announce my own little summer writing camp for young adults, taking place over four weeks in June and July at the Ashbery Resource Center in downtown Hudson. Exploring voice and form in creative nonfiction with young writers is the sort of teaching I love best, and I’ve been dreaming of finding a way back to it since I left my post at The New School. The class is capped at ten. We’ll do lots of experiments. It will be fun, I hope. Thankful to the Flow Chart Foundation for use of the space. Details below :)

The Boundless Essay: An Exploration of Poetry, Story, and Form in Personal Narrative

a summer workshop for young adult writers, with Nina Boutsikaris

Thursdays, 11am–1pm, June 22nd–July 13th @ the Ashbery Resource Center (348 Warren Street, right door – 2nd Floor, in downtown Hudson, NY)

What makes a personal essay? What can a personal essay do? As David Lazar writes in “Queering the Essay,” “To read through the history of essays on the essay is to a large and fascinating extent to see practitioners of the form struggling to articulate what the form is and refusing to keep the form stable, refusing to narrow its sense of possible performative and formal dimensions...” In this 4-week workshop for college-aged writers and advanced teens, we will borrow craft techniques and creative modes from across genres in order to experiment with the boundlessness of the personal narrative — from lyric, hybrid, and collage, to shell forms, and visual essays. We’ll ask how such a boundless, liquid genre can both embody and uncover truths and identities. Students will expand their repertoire of styles, forms, and techniques for personal narrative, explore their own unique voice(s) and uncover their own powerful stories, to craft compelling, creative essays from real life. 

Class meetings will include prompts and writing time, feedback opportunities, and examinations of a variety of texts. We will look at sample work from essayists such as T Fleischmann, Aisha Sabitini Sloan, Maggie Nelson, Terese Marie Mailhot, Renee Gladman, Sarah Minor, Hanif Abdurraqib, Kristen Radtke, and Eileen Myles. We will also examine creative work that is maybe beyond the scope of the essay, or the personal.

Workshop Fee: $150 (includes all reading materials) 

To Apply: Send a short creative writing sample (any genre), between 500–1000 words, to with the Subject: Young Adult Workshop. Upon acceptance you will receive a welcome email with instructions on how to submit payment and register.

What comes next are calculated crystals, not part of the text:
~~~
Here is Na4HgP2 after structural relaxation from Materials Project. Energies are from PBE-GGA.

The structure in CIF format:
```
data_Na4HgP2
_space_group_name_H-M_alt 'R -3 m'
_space_group_IT_number 166
_space_group_name_Hall '-R 3 2"'
_cell_length_a 5.0221
_cell_length_b 5.0221
_cell_length_c 25.8122
_cell_angle_alpha 90.00
_cell_angle_beta 90.00
_cell_angle_gamma 120.00
loop_
_atom_site_label
_atom_site_fract_x
_atom_site_fract_y
_atom_site_fract_z
Na1 0.0000 0.0000 0.0972
Na2 0.0000 0.0000 0.2928
Hg1 0.0000 0.0000 0.5000
P1 0.0000 0.0000 0.4063
```

Properties
ρ = 3.1 g/cm³
VASP energy = -0.09905 hartree per atom


Here is Na2HgPb after structural relaxation from Materials Project. Energies are from PBE-GGA.

The structure in CIF format:
```
data_Na2HgPb
_space_group_name_H-M_alt 'C m c m'
_space_group_IT_number 63
_space_group_name_Hall '-C 2c 2'
_cell_length_a 9.7912
_cell_length_b 7.7812
_cell_length_c 6.1693
_cell_angle_alpha 90.00
_cell_angle_beta 90.00
_cell_angle_gamma 90.00
loop_
_atom_site_label
_atom_site_fract_x
_atom_site_fract_y
_atom_site_fract_z
Na1 0.1888 0.1795 0.2500
Hg1 0.0000 0.5000 0.0000
Pb1 0.0000 0.1614 0.7500
```

Properties
ρ = 6.4 g/cm³
VASP energy = -0.06767 hartree per atom


Here is NaPmHg2 after structural relaxation from Materials Project. Energies are from PBE-GGA.

The structure in CIF format:
```
data_NaPmHg2
_space_group_name_H-M_alt 'F m -3 m'
_space_group_IT_number 225
_space_group_name_Hall '-F 4 2 3'
_cell_length_a 7.4537
_cell_length_b 7.4537
_cell_length_c 7.4537
_cell_angle_alpha 90.00
_cell_angle_beta 90.00
_cell_angle_gamma 90.00
loop_
_atom_site_label
_atom_site_fract_x
_atom_site_fract_y
_atom_site_fract_z
Na1 0.0000 0.0000 0.0000
Pm1 0.0000 0.0000 0.5000
Hg1 0.2500 0.2500 0.2500
```

Properties
ρ = 9.1 g/cm³
VASP energy = -0.07493 hartree per atom


Here is Na2Hg3S4 after structural relaxation from Materials Project. Energies are from PBE-GGA.

The structure in CIF format:
```
data_Na2Hg3S4
_space_group_name_H-M_alt 'P b c a'
_space_group_IT_number 61
_space_group_name_Hall '-P 2ac 2ab'
_cell_length_a 7.5813
_cell_length_b 14.2491
_cell_length_c 8.4416
_cell_angle_alpha 90.00
_cell_angle_beta 90.00
_cell_angle_gamma 90.00
loop_
_atom_site_label
_atom_site_fract_x
_atom_site_fract_y
_atom_site_fract_z
Na1 0.0647 0.1068 0.1181
Hg1 0.0000 0.0000 0.5000
Hg2 0.2302 0.6935 0.7780
S1 0.0096 0.7316 0.1066
S2 0.2395 0.0173 0.8465
```

Properties
ρ = 5.7 g/cm³
VASP energy = -0.09978 hartree per atom


Here is NaSmHg2 after structural relaxation from Materials Project. Energies are from PBE-GGA.

The structure in CIF format:
```
data_NaSmHg2
_space_group_name_H-M_alt 'F m -3 m'
_space_group_IT_number 225
_space_group_name_Hall '-F 4 2 3'
_cell_length_a 7.4318
_cell_length_b 7.4318
_cell_length_c 7.4318
_cell_angle_alpha 90.00
_cell_angle_beta 90.00
_cell_angle_gamma 90.00
loop_
_atom_site_label
_atom_site_fract_x
_atom_site_fract_y
_atom_site_fract_z
Na1 0.0000 0.0000 0.0000
Sm1 0.0000 0.0000 0.5000
~~~
Back to the text:

Limited Enrollment — accepting applications until June 1st or until class is filled